## Exercise
Repeat only the lines underneath with the word "Open" in them, please.

## Excerpt
<<<
Formula: C2H7O4
Source: the Open Molecules 2025 dataset
Level of theory: ωB97M-V with the def2-TZVPD basis set

Calculated values
HOMO-LUMO gap	9.06	eV
total charge	-1
ΔE to the lowest compared entry with this formula, charge and spin	0.999	eV
HOMO	-0.181	Ha
F_max	4.50	eV/Å
calculated total energy	-10379.061	eV

Last column: natural (NBO) charge in e.
Atoms and positions in Å:
O 0.304 -0.388 0.506  -0.7805
C -0.793 0.031 0.035  0.7749
O -0.943 1.268 -0.217  -0.7782
C -2.033 -0.787 -0.103  -0.7412
H -2.897 -0.556 0.499  0.2175
H -1.980 -0.494 -1.170  0.2409
H -2.028 -1.868 -0.016  0.2024
H 1.124 -1.399 -0.214  0.5039
H 2.472 -2.178 -0.584  0.4378
O 1.540 -2.331 -0.418  -1.0246
H 0.463 2.132 -0.011  0.5068
H 1.749 1.667 0.796  0.4674
O 1.369 2.377 0.282  -1.0271

=====

Entry from OMol25: C27H62F2N4O17PPt as an isolated structure (ωB97M-V/def2-TZVPD).

As for the total charge: +1. As for the expectation value of S²: 2.007. The calculation puts the total energy at -87735.757 eV. For the HOMO-LUMO gap (alpha / beta), the calculation gives 7.4 / 6.9 eV. Its multiplicity is 3.

Element x y z (Å)
Pt -1.216 -11.001 17.862
C 1.457 -14.062 22.332
N 2.087 -13.704 21.014
C 1.810 -12.269 20.772
C 3.584 -13.863 21.094
C 1.639 -14.533 19.901
C 0.252 -14.195 19.422
O -0.672 -14.462 20.447
H 1.264 -15.128 22.245
H 0.503 -13.561 22.428
H 2.101 -13.803 23.162
H 2.179 -12.022 19.780
H 2.383 -11.711 21.500
H 0.760 -12.072 20.945
H 3.987 -13.257 21.890
H 3.960 -13.489 20.142
H 3.753 -14.935 21.093
H 1.621 -15.605 20.099
H 2.337 -14.350 19.087
H 0.008 -14.763 18.523
H 0.277 -13.172 19.003
H -1.387 -13.825 20.316
C 1.309 -11.568 17.158
O 2.482 -11.859 16.778
O 0.213 -12.247 16.758
O 0.937 -10.562 17.959
C -0.122 -7.497 17.647
C -1.542 -7.810 17.190
C -2.076 -6.931 16.014
O -3.216 -7.573 15.521
C -3.791 -6.783 14.523
N -1.479 -9.217 16.622
H 0.626 -7.844 16.932
H -0.019 -7.905 18.646
H 0.085 -6.419 17.610
H -2.288 -7.765 17.980
H -1.330 -6.837 15.224
H -2.327 -6.014 16.563
H -3.172 -6.744 13.619
H -4.085 -5.786 14.840
H -4.673 -7.315 14.158
H -0.738 -9.292 15.925
H -2.370 -9.391 16.140
C 1.153 -17.019 15.502
C 1.952 -15.756 15.276
C 1.581 -14.904 14.070
O 2.033 -15.455 12.868
C 1.818 -14.578 11.829
N 1.933 -14.949 16.533
H 1.728 -17.752 16.071
H 0.887 -17.562 14.591
H 0.240 -16.826 16.073
H 3.005 -16.045 15.140
H 1.956 -13.883 14.218
H 0.476 -14.945 14.007
H 2.354 -13.637 12.024
H 0.773 -14.358 11.594
H 2.281 -14.947 10.915
H 2.654 -14.206 16.575
H 1.219 -14.222 16.295
C 6.158 -14.299 15.768
C 5.821 -13.749 17.138
C 6.993 -13.784 18.095
O 6.614 -13.014 19.195
C 7.590 -12.948 20.222
N 5.394 -12.333 16.967
H 6.874 -13.726 15.189
H 5.247 -14.312 15.145
H 6.344 -15.382 15.797
H 5.029 -14.338 17.635
H 7.866 -13.348 17.595
H 7.261 -14.806 18.380
H 7.522 -13.839 20.880
H 7.415 -12.061 20.826
H 8.631 -12.999 19.877
H 5.277 -12.069 17.963
H 4.399 -12.250 16.724
C -6.305 -13.443 15.133
O -5.267 -12.481 15.422
P -4.043 -12.782 16.340
O -3.116 -11.652 16.485
O -4.663 -13.291 17.707
C -5.176 -12.360 18.668
O -3.473 -14.110 15.742
C -2.186 -14.479 16.143
H -6.269 -14.327 15.774
H -6.266 -13.798 14.100
H -7.283 -12.971 15.236
H -4.826 -12.673 19.646
H -6.268 -12.387 18.643
H -4.930 -11.318 18.448
H -1.415 -14.008 15.541
H -2.114 -15.558 16.037
H -1.982 -14.281 17.197
C 3.603 -8.200 18.877
C 4.673 -9.011 18.107
O 5.496 -9.501 19.137
C 4.827 -9.434 20.313
O 5.213 -9.906 21.328
O 3.645 -8.794 20.188
F 5.409 -8.113 17.398
H 2.639 -8.371 18.414
H 3.957 -7.179 18.959
H 4.223 -9.791 17.494
C 2.815 -10.260 14.256
C 1.415 -10.699 13.815
O 1.583 -10.825 12.429
C 2.717 -10.190 12.004
O 3.053 -10.125 10.915
O 3.409 -9.734 13.074
F 0.472 -9.659 14.072
H 3.401 -11.142 14.518
H 2.807 -9.525 15.053
H 1.052 -11.615 14.275

Entry from OMol25: one molecule with the formula C14H19NO (ωB97M-V/def2-TZVPD).
>>>

## Here it is
Source: the Open Molecules 2025 dataset